To do >
Start at the top of the block below and return each line, ending with the one that has "1.571", please.

Listing >
-- begin --
Structure and theoretical XRD peak list of Mg6MnW (a crystal structure in the Materials Project, relaxed with PBE; a wavelength of 1.5418 Å).

The 6 most intense peaks (10° ≤ 2θ ≤ 90°), by angle:
2theta	I/Imax
16.37	733
17.21	528
18.20	522
24.57	464
38.02	652
39.56	1000

Structure:
Unit cell a=4.875 b=5.860 c=10.829 alpha=90.00 beta=90.00 gamma=90.00
Atoms (fractional coordinates):
Mg 0.000 0.000 0.000
Mg 0.000 0.000 0.497
Mg 0.000 0.243 0.764
Mg 0.000 0.257 0.264
Mg 0.000 0.500 0.500
Mg 0.000 0.500 0.997
Mg 0.000 0.743 0.264
Mg 0.000 0.757 0.764
Mg 0.500 0.250 0.100
Mg 0.500 0.250 0.600
Mg 0.500 0.750 0.100
Mg 0.500 0.750 0.600
Mn 0.500 0.000 0.345
Mn 0.500 0.500 0.845
W 0.500 0.000 0.853
W 0.500 0.500 0.353


Simulated powder diffractogram
Compound: DyNbC2I2
Radiation: Cu Kα X-rays
Structure: a crystal structure in OQMD, relaxed with GGA-PBE
Lines closer than 0.1° are merged.

The 12 most intense peaks (2θ = 10–80°), by angle:
2θ (°)	d [Å]	I (rel.)
16.41	5.402	25
25.09	3.550	25
27.28	3.269	51
29.21	3.057	81
31.57	2.834	46
32.42	2.761	100
36.61	2.454	58
37.70	2.386	26
41.80	2.161	28
42.80	2.113	24
45.56	1.991	47
58.51	1.578	22

Structural model:
```
DyNbC2I2
1.0
7.1137 0.0000 0.0000
0.0000 3.6833 0.0000
-0.6884 0.0000 10.8043
Dy Nb C I
2 2 4 4
direct
0.0000 0.0000 0.0000
0.5000 0.5000 0.0000
0.2023 0.5000 0.7722
0.7023 0.0000 0.7722
0.2812 0.0000 0.9030
0.4419 0.0000 0.8400
0.7812 0.5000 0.9030
0.9419 0.5000 0.8400
0.0388 0.0000 0.5826
0.1830 0.5000 0.2011
0.5388 0.5000 0.5826
0.6830 0.0000 0.2011
```

---

Simulated powder diffractogram
Compound: Dy7C2I12O
Radiation: Cu Kα X-rays
Structure: a crystal structure in OQMD, relaxed with GGA-PBE
Lines closer than 0.1° are merged.

The 12 most intense peaks (2θ = 10–80°), by angle:
2θ (°)	d [Å]	I (rel.)
10.36	8.541	32
10.48	8.445	29
24.79	3.592	15
28.41	3.142	100
28.93	3.086	87
29.08	3.071	83
31.45	2.845	15
40.76	2.214	24
41.09	2.197	71
41.22	2.190	26
41.89	2.156	22
58.78	1.571	16

Structural model:
```
Dy7C2I12O
1.0
9.9091 0.0000 0.0000
-4.1809 9.8690 0.0000
-0.8422 -4.1528 16.4485
Dy C I O
14 4 24 2
direct
0.0246 0.4428 0.1864
0.0465 0.2554 0.6887
0.1424 0.4508 0.9804
0.1655 0.5506 0.3874
0.2213 0.7568 0.1579
0.3690 0.8816 0.3579
0.4359 0.5730 0.2378
0.5641 0.4270 0.7622
0.6310 0.1184 0.6421
0.7787 0.2432 0.8421
0.8345 0.4494 0.6126
0.8576 0.5492 0.0196
0.9535 0.7446 0.3113
0.9754 0.5572 0.8136
0.1355 0.6790 0.2828
0.2545 0.6388 0.2648
0.7455 0.3612 0.7352
0.8645 0.3210 0.7172
0.0448 0.1548 0.8513
0.0591 0.7423 0.6992
0.1065 0.3981 0.5495
0.1604 0.0234 0.4095
0.1888 0.7957 0.9722
0.2273 0.3004 0.1084
0.2855 0.5282 0.8164
0.3233 0.1528 0.6664
0.3774 0.8037 0.5199
0.4046 0.4321 0.3730
0.4472 0.0496 0.2294
0.4634 0.6744 0.0744
0.5366 0.3256 0.9256
0.5528 0.9504 0.7706
0.5954 0.5679 0.6270
0.6226 0.1963 0.4801
0.6767 0.8472 0.3336
0.7145 0.4718 0.1836
0.7727 0.6996 0.8916
0.8112 0.2043 0.0278
0.8396 0.9766 0.5905
0.8935 0.6019 0.4505
0.9409 0.2577 0.3008
0.9552 0.8452 0.1487
0.0570 0.5471 0.0817
0.9430 0.4529 0.9183
```

---

Simulated powder diffractogram
Compound: Pr2Dy2CI5
Radiation: Cu Kα X-rays
Structure: a crystal structure in OQMD, relaxed with GGA-PBE
Lines closer than 0.1° are merged.

The 12 most intense peaks (2θ = 10–80°), by angle:
2θ (°)	d [Å]	I (rel.)
10.20	8.676	36
28.32	3.151	37
29.18	3.060	18
29.78	3.000	100
30.86	2.898	12
31.27	2.861	11
32.33	2.769	38
40.61	2.221	16
41.37	2.183	24
41.76	2.163	23
44.54	2.034	18
53.63	1.709	12

Structural model:
```
Pr2Dy2CI5
1.0
9.6818 -2.0341 0.0000
9.6818 2.0341 0.0000
-1.9219 0.0000 8.6764
Pr Dy C I
2 2 1 5
direct
0.0012 0.0012 0.3041
0.9988 0.9988 0.6959
0.3720 0.3720 0.4361
0.6280 0.6280 0.5639
0.5000 0.5000 0.5000
0.1670 0.1670 0.8281
0.1719 0.1719 0.3387
0.5000 0.5000 0.0000
0.8281 0.8281 0.6613
0.8330 0.8330 0.1719
```

---

Simulated powder diffractogram
Compound: SmDyC2I2
Radiation: Cu Kα X-rays
Structure: a crystal structure in OQMD, relaxed with GGA-PBE
Lines closer than 0.1° are merged.
-- stop --

Here it is >
Structure and theoretical XRD peak list of Mg6MnW (a crystal structure in the Materials Project, relaxed with PBE; a wavelength of 1.5418 Å).

The 6 most intense peaks (10° ≤ 2θ ≤ 90°), by angle:
2theta	I/Imax
16.37	733
17.21	528
18.20	522
24.57	464
38.02	652
39.56	1000

Structure:
Unit cell a=4.875 b=5.860 c=10.829 alpha=90.00 beta=90.00 gamma=90.00
Atoms (fractional coordinates):
Mg 0.000 0.000 0.000
Mg 0.000 0.000 0.497
Mg 0.000 0.243 0.764
Mg 0.000 0.257 0.264
Mg 0.000 0.500 0.500
Mg 0.000 0.500 0.997
Mg 0.000 0.743 0.264
Mg 0.000 0.757 0.764
Mg 0.500 0.250 0.100
Mg 0.500 0.250 0.600
Mg 0.500 0.750 0.100
Mg 0.500 0.750 0.600
Mn 0.500 0.000 0.345
Mn 0.500 0.500 0.845
W 0.500 0.000 0.853
W 0.500 0.500 0.353


Simulated powder diffractogram
Compound: DyNbC2I2
Radiation: Cu Kα X-rays
Structure: a crystal structure in OQMD, relaxed with GGA-PBE
Lines closer than 0.1° are merged.

The 12 most intense peaks (2θ = 10–80°), by angle:
2θ (°)	d [Å]	I (rel.)
16.41	5.402	25
25.09	3.550	25
27.28	3.269	51
29.21	3.057	81
31.57	2.834	46
32.42	2.761	100
36.61	2.454	58
37.70	2.386	26
41.80	2.161	28
42.80	2.113	24
45.56	1.991	47
58.51	1.578	22

Structural model:
```
DyNbC2I2
1.0
7.1137 0.0000 0.0000
0.0000 3.6833 0.0000
-0.6884 0.0000 10.8043
Dy Nb C I
2 2 4 4
direct
0.0000 0.0000 0.0000
0.5000 0.5000 0.0000
0.2023 0.5000 0.7722
0.7023 0.0000 0.7722
0.2812 0.0000 0.9030
0.4419 0.0000 0.8400
0.7812 0.5000 0.9030
0.9419 0.5000 0.8400
0.0388 0.0000 0.5826
0.1830 0.5000 0.2011
0.5388 0.5000 0.5826
0.6830 0.0000 0.2011
```

---

Simulated powder diffractogram
Compound: Dy7C2I12O
Radiation: Cu Kα X-rays
Structure: a crystal structure in OQMD, relaxed with GGA-PBE
Lines closer than 0.1° are merged.

The 12 most intense peaks (2θ = 10–80°), by angle:
2θ (°)	d [Å]	I (rel.)
10.36	8.541	32
10.48	8.445	29
24.79	3.592	15
28.41	3.142	100
28.93	3.086	87
29.08	3.071	83
31.45	2.845	15
40.76	2.214	24
41.09	2.197	71
41.22	2.190	26
41.89	2.156	22
58.78	1.571	16